**Input**
-- begin --
42
Properties=species:S:1:pos:R:3:forces:R:3:nbo_charge:R:1 method="wB97M-V/def2-TZVPD" e_tot_ev=-127774.6777 charge=+2 spin_multiplicity=5 largest_force_ev_per_a=1.30 homo_energy_ev="-14.44 / -14.44"
Ho 0.37334 -1.24405 -2.29399 0.23 0.42 -0.19 2.1224
C 4.14794 0.08705 2.37211 0.07 -0.13 -0.07 -0.6162
C 4.34554 -1.26265 1.69301 -0.14 0.27 0.55 -0.2263
N 4.12864 -1.18965 0.25781 0.25 0.01 -0.21 -0.5338
C 2.93834 -1.12855 -0.30829 -0.30 -0.02 -1.04 0.3714
S 2.99754 -1.24585 -2.10509 -0.73 -0.40 0.35 -0.4115
N 1.87394 -0.94485 0.44091 0.13 0.09 1.29 -0.4518
N 0.64134 -1.17195 -0.05439 -0.29 0.19 -0.39 -0.4228
C -0.41556 -0.89195 0.67341 0.91 -0.18 -0.16 0.2867
C -0.32046 -0.25905 2.01781 0.22 -0.03 -0.13 -0.6979
C -1.70276 -1.36575 0.13401 -0.70 -0.26 -0.30 0.1651
C -2.86226 -1.40575 0.91311 0.56 0.05 -0.27 -0.2030
C -4.01146 -1.99425 0.40921 0.13 -0.16 -0.38 -0.0948
C -3.98446 -2.55005 -0.86389 0.07 0.13 0.12 -0.2194
C -2.82306 -2.43185 -1.60889 0.06 0.03 -0.10 0.0680
N -1.70966 -1.84555 -1.14469 0.27 0.08 0.35 -0.6199
H 4.24324 -0.03315 3.44681 0.01 0.04 0.12 0.2368
H 3.15654 0.47115 2.14681 -0.03 0.07 0.06 0.2078
H 4.89254 0.80585 2.04031 0.06 0.07 -0.02 0.2188
H 3.63644 -1.98625 2.10301 0.16 -0.02 -0.06 0.2167
H 5.36184 -1.62305 1.84901 -0.10 -0.09 -0.03 0.2294
H 4.93704 -1.19665 -0.35109 -0.20 -0.08 0.06 0.4293
H 0.61754 0.28715 2.09681 -0.05 -0.05 0.02 0.2708
H -0.32216 -1.02905 2.79091 0.01 -0.06 0.09 0.2713
H -1.15176 0.41325 2.20741 -0.11 0.04 -0.04 0.2456
H -2.85486 -1.01465 1.91521 0.04 0.08 0.14 0.2524
H -4.91036 -2.03795 1.00411 -0.06 -0.02 0.09 0.2581
H -4.84186 -3.06475 -1.27059 -0.02 0.03 -0.06 0.2634
H -2.77656 -2.82895 -2.62189 -0.05 0.05 0.15 0.2151
Se 2.12974 1.93835 -2.09009 -0.02 -0.46 -0.15 1.1900
N 0.57994 1.06325 -2.41599 -0.42 -0.54 0.17 -0.9484
C -0.42736 1.79235 -1.88389 0.60 0.11 -0.22 0.2263
C -1.79166 1.45745 -1.94119 -0.48 -0.10 -0.15 -0.3083
C -2.69226 2.31445 -1.35779 0.29 -0.59 -0.34 -0.1048
C -2.27096 3.49565 -0.70419 0.40 0.44 0.20 -0.2034
C -0.95236 3.85245 -0.63719 -0.49 0.11 0.12 -0.1443
C 0.00384 3.00295 -1.23469 0.22 -0.63 -0.27 0.0523
N 1.31914 3.19475 -1.26259 -0.29 0.96 0.35 -0.5535
H -2.11196 0.57315 -2.50619 -0.07 0.38 0.23 0.2079
H -3.74856 2.09675 -1.42009 -0.07 0.00 0.02 0.2421
H -3.02226 4.13805 -0.27099 -0.03 0.07 0.04 0.2520
H -0.61966 4.76225 -0.16409 -0.02 0.11 0.07 0.2605


9
Properties=species:S:1:pos:R:3:forces:R:3:nbo_charge:R:1 method="wB97M-V/def2-TZVPD" e_above_lowest_ev=0.0264 e_tot_ev=-18093.5321 largest_force_ev_per_a=4.58 homo_energy_ev=-8.45
N -0.12077 1.28111 -0.65696 0.30 -1.34 -0.55 -0.8217
C -0.16376 0.10467 0.05761 -1.22 0.41 4.39 0.5646
N 0.54079 -0.98461 -0.33891 -0.59 0.76 0.90 -0.8412
N -0.87246 0.22192 1.26634 2.18 -0.93 -3.78 -0.5761
Cl -0.93891 -1.37090 1.96743 -0.20 0.17 0.45 0.0186
H -0.45279 1.96810 -0.01682 -0.11 1.12 -0.20 0.4150
H 0.65675 1.47900 -1.30053 -0.64 -0.08 0.95 0.3972
H 0.70049 -1.76353 0.34659 -0.51 1.06 -1.61 0.4443
H 0.65065 -0.93577 -1.32475 0.78 -1.16 -0.55 0.3993


75
Properties=species:S:1:pos:R:3:forces:R:3:lowdin_charge:R:1 method="wB97M-V/def2-TZVPD" e_above_lowest_ev=0.0000 e_tot_ev=-196439.1181 charge=+1 spin_multiplicity=2 largest_force_ev_per_a=0.94 homo_energy_ev="-10.85 / -10.78"
Re -1.40359 0.62587 0.01965 0.05 0.17 -0.14 1.7195
Cl -2.25032 -6.47738 -1.26813 0.00 -0.02 0.01 0.7137
C -2.36126 -4.76857 -1.19003 0.06 0.04 -0.08 -0.7032
C -3.02231 -4.15684 -0.12851 0.04 0.09 -0.02 -0.6978
Cl -3.75394 -5.11137 1.09447 0.00 -0.03 0.02 0.7133
C -3.09506 -2.76664 -0.05228 0.02 0.21 -0.22 -0.5974
Cl -4.00162 -2.01934 1.20367 0.01 0.14 0.03 0.7807
C -2.48562 -1.97201 -1.03037 0.20 -0.43 -0.29 -0.4071
O -2.48487 -0.62719 -0.99981 -0.42 0.30 0.79 -0.3089
C -1.87064 -2.60241 -2.11827 -0.12 0.06 0.16 -0.6224
Cl -1.17750 -1.61653 -3.34615 0.00 0.07 -0.03 0.7602
C -1.79553 -3.98559 -2.19683 -0.08 -0.02 0.04 -0.7104
Cl -0.98432 -4.72368 -3.51240 0.00 -0.01 0.00 0.7262
C 3.37886 1.45850 3.04016 0.06 -0.02 0.01 -0.0628
-- stop --
**Exercise**
Echo the lines further up up to the one that holds "-1.19003 0.06", that line included.
**Here it is**
42
Properties=species:S:1:pos:R:3:forces:R:3:nbo_charge:R:1 method="wB97M-V/def2-TZVPD" e_tot_ev=-127774.6777 charge=+2 spin_multiplicity=5 largest_force_ev_per_a=1.30 homo_energy_ev="-14.44 / -14.44"
Ho 0.37334 -1.24405 -2.29399 0.23 0.42 -0.19 2.1224
C 4.14794 0.08705 2.37211 0.07 -0.13 -0.07 -0.6162
C 4.34554 -1.26265 1.69301 -0.14 0.27 0.55 -0.2263
N 4.12864 -1.18965 0.25781 0.25 0.01 -0.21 -0.5338
C 2.93834 -1.12855 -0.30829 -0.30 -0.02 -1.04 0.3714
S 2.99754 -1.24585 -2.10509 -0.73 -0.40 0.35 -0.4115
N 1.87394 -0.94485 0.44091 0.13 0.09 1.29 -0.4518
N 0.64134 -1.17195 -0.05439 -0.29 0.19 -0.39 -0.4228
C -0.41556 -0.89195 0.67341 0.91 -0.18 -0.16 0.2867
C -0.32046 -0.25905 2.01781 0.22 -0.03 -0.13 -0.6979
C -1.70276 -1.36575 0.13401 -0.70 -0.26 -0.30 0.1651
C -2.86226 -1.40575 0.91311 0.56 0.05 -0.27 -0.2030
C -4.01146 -1.99425 0.40921 0.13 -0.16 -0.38 -0.0948
C -3.98446 -2.55005 -0.86389 0.07 0.13 0.12 -0.2194
C -2.82306 -2.43185 -1.60889 0.06 0.03 -0.10 0.0680
N -1.70966 -1.84555 -1.14469 0.27 0.08 0.35 -0.6199
H 4.24324 -0.03315 3.44681 0.01 0.04 0.12 0.2368
H 3.15654 0.47115 2.14681 -0.03 0.07 0.06 0.2078
H 4.89254 0.80585 2.04031 0.06 0.07 -0.02 0.2188
H 3.63644 -1.98625 2.10301 0.16 -0.02 -0.06 0.2167
H 5.36184 -1.62305 1.84901 -0.10 -0.09 -0.03 0.2294
H 4.93704 -1.19665 -0.35109 -0.20 -0.08 0.06 0.4293
H 0.61754 0.28715 2.09681 -0.05 -0.05 0.02 0.2708
H -0.32216 -1.02905 2.79091 0.01 -0.06 0.09 0.2713
H -1.15176 0.41325 2.20741 -0.11 0.04 -0.04 0.2456
H -2.85486 -1.01465 1.91521 0.04 0.08 0.14 0.2524
H -4.91036 -2.03795 1.00411 -0.06 -0.02 0.09 0.2581
H -4.84186 -3.06475 -1.27059 -0.02 0.03 -0.06 0.2634
H -2.77656 -2.82895 -2.62189 -0.05 0.05 0.15 0.2151
Se 2.12974 1.93835 -2.09009 -0.02 -0.46 -0.15 1.1900
N 0.57994 1.06325 -2.41599 -0.42 -0.54 0.17 -0.9484
C -0.42736 1.79235 -1.88389 0.60 0.11 -0.22 0.2263
C -1.79166 1.45745 -1.94119 -0.48 -0.10 -0.15 -0.3083
C -2.69226 2.31445 -1.35779 0.29 -0.59 -0.34 -0.1048
C -2.27096 3.49565 -0.70419 0.40 0.44 0.20 -0.2034
C -0.95236 3.85245 -0.63719 -0.49 0.11 0.12 -0.1443
C 0.00384 3.00295 -1.23469 0.22 -0.63 -0.27 0.0523
N 1.31914 3.19475 -1.26259 -0.29 0.96 0.35 -0.5535
H -2.11196 0.57315 -2.50619 -0.07 0.38 0.23 0.2079
H -3.74856 2.09675 -1.42009 -0.07 0.00 0.02 0.2421
H -3.02226 4.13805 -0.27099 -0.03 0.07 0.04 0.2520
H -0.61966 4.76225 -0.16409 -0.02 0.11 0.07 0.2605


9
Properties=species:S:1:pos:R:3:forces:R:3:nbo_charge:R:1 method="wB97M-V/def2-TZVPD" e_above_lowest_ev=0.0264 e_tot_ev=-18093.5321 largest_force_ev_per_a=4.58 homo_energy_ev=-8.45
N -0.12077 1.28111 -0.65696 0.30 -1.34 -0.55 -0.8217
C -0.16376 0.10467 0.05761 -1.22 0.41 4.39 0.5646
N 0.54079 -0.98461 -0.33891 -0.59 0.76 0.90 -0.8412
N -0.87246 0.22192 1.26634 2.18 -0.93 -3.78 -0.5761
Cl -0.93891 -1.37090 1.96743 -0.20 0.17 0.45 0.0186
H -0.45279 1.96810 -0.01682 -0.11 1.12 -0.20 0.4150
H 0.65675 1.47900 -1.30053 -0.64 -0.08 0.95 0.3972
H 0.70049 -1.76353 0.34659 -0.51 1.06 -1.61 0.4443
H 0.65065 -0.93577 -1.32475 0.78 -1.16 -0.55 0.3993


75
Properties=species:S:1:pos:R:3:forces:R:3:lowdin_charge:R:1 method="wB97M-V/def2-TZVPD" e_above_lowest_ev=0.0000 e_tot_ev=-196439.1181 charge=+1 spin_multiplicity=2 largest_force_ev_per_a=0.94 homo_energy_ev="-10.85 / -10.78"
Re -1.40359 0.62587 0.01965 0.05 0.17 -0.14 1.7195
Cl -2.25032 -6.47738 -1.26813 0.00 -0.02 0.01 0.7137
C -2.36126 -4.76857 -1.19003 0.06 0.04 -0.08 -0.7032